Could Destiny 2 bring back classic weapons like Felwinter’s Lie?

Julian Young
Destiny 2 Beyond Light Friction Fire SMG With Season of the Hunt Text

Beyond Light added new locations and activities into Destiny 2, but a substantial portion of existing content was put into the Destiny Content Vault. Facing criticism on the lack of weapons available, should Bungie continue adding guns from older content back into the game?

Despite adding new content into Destiny 2, Beyond Light also introduced the Destiny Content Vault. The DCV is a way for Bungie to cycle out older content, update it, and reintroduce it at a later date.

Although Bungie explained how the DCV is beneficial for the game in the long run, many players have expressed concerns about removing large pieces of content with no immediate replacement.

One pain point for players is the lack of viable weapons due to the removal and sunsetting of many older guns. As the pool of high Power-level weapons in Destiny 2 has shrunk, players are calling for Bungie to reintroduce guns from previous content, like the Felwinter’s Lie shotgun.

Destiny 2 Beyond Light Europa Weapons
After seeing feedback on the current loot pool, Bungie is bringing back weapons from older content.

Should Bungie bring back Felwinter’s Lie?

Introduced in Season of the Worthy, the Felwinter’s Lie shotgun quickly became a staple of the PVP meta in Destiny 2. Despite being one of the most powerful weapons in PVP, the shotgun was only available during Season of the Worthy. When the season ended, the quest for the gun disappeared and it could no longer be acquired.

The removal of the weapon’s quest at the end of its inaugural season was criticized by many players. With the recent weapon sunsetting and DCV changes, the gun’s availability has once again come into question. In a thread posted to r/DestinyTheGame that garnered more than 4k upvotes, Reddit user ‘Hoodie_ninja1’ called Bungie out for not having the weapon available to obtain in Beyond Light.

Destiny 2 Felwinter's Lie Reddit Thread
Reddit thread by u/Hoodie_ninja1 discussing the return of Felwinter’s Lie.

• Here the page breaks off for crystal structures:
=====
(1)
This record from the Materials Project describes a geometry-optimized Cs8ZrMo6O24 structure. The functional is PBE+U.

a b c (Å): 11.3201 11.3201 8.5753
angles (deg): 99.21 99.21 123.46
Element x y z (fractional)
Cs1 0.0212 0.3673 0.6101
Cs2 0.1654 0.8346 0.0000
Cs3 0.2865 0.2865 0.8579
Cs4 0.3673 0.0212 0.6101
Cs5 0.6327 0.9788 0.3899
Cs6 0.7135 0.7135 0.1421
Cs7 0.8346 0.1654 0.0000
Cs8 0.9788 0.6327 0.3899
Zr1 0.5000 0.5000 0.5000
Mo1 0.1233 0.1233 0.2977
Mo2 0.2441 0.5507 0.2210
Mo3 0.4493 0.7559 0.7790
Mo4 0.5507 0.2441 0.2210
Mo5 0.7559 0.4493 0.7790
Mo6 0.8767 0.8767 0.7023
O1 0.0424 0.8980 0.6863
O2 0.0939 0.4375 0.2950
O3 0.1020 0.9576 0.3137
O4 0.1476 0.1476 0.1038
O5 0.1885 0.4750 0.0018
O6 0.2683 0.7128 0.7235
O7 0.2872 0.7317 0.2765
O8 0.2923 0.2923 0.4622
O9 0.4086 0.5572 0.3177
O10 0.4375 0.0939 0.2950
O11 0.4428 0.5914 0.6823
O12 0.4750 0.1885 0.0018
O13 0.5250 0.8115 0.9982
O14 0.5572 0.4086 0.3177
O15 0.5625 0.9061 0.7050
O16 0.5914 0.4428 0.6823
O17 0.7077 0.7077 0.5378
O18 0.7128 0.2683 0.7235
O19 0.7317 0.2872 0.2765
O20 0.8115 0.5250 0.9982
O21 0.8524 0.8524 0.8962
O22 0.8980 0.0424 0.6863
O23 0.9061 0.5625 0.7050
O24 0.9576 0.1020 0.3137

Output
DFT formation energy   -89.8 eV/f.u.



(2)
This record from the Materials Project describes a geometry-optimized Cs2NaVO4 structure. The functional is PBE+U.

a b c (Å): 6.1914 6.2830 8.4356
angles (deg): 90.00 93.12 90.00
Element x y z (fractional)
Cs1 0.1487 0.2500 0.1810
Cs2 0.2980 0.7500 0.5137
Cs3 0.7020 0.2500 0.4863
Cs4 0.8513 0.7500 0.8190
Na1 0.3721 0.7500 0.0274
Na2 0.6279 0.2500 0.9726
V1 0.2043 0.2500 0.7583
V2 0.7957 0.7500 0.2417
O1 0.0626 0.7500 0.1807
O2 0.2019 0.2500 0.5514
O3 0.3420 0.0251 0.8345
O4 0.3420 0.4749 0.8345
O5 0.6580 0.5251 0.1655
O6 0.6580 0.9749 0.1655
O7 0.7981 0.7500 0.4486
O8 0.9374 0.2500 0.8193

Output
DFT formation energy   -18.4 eV/f.u.



(3)
This record from the Materials Project describes a geometry-optimized CsNbWO6 structure. The functional is PBE+U.

a b c (Å): 7.4734 7.4734 7.4734
angles (deg): 120.37 119.78 89.87
Element x y z (fractional)
Cs1 0.3760 0.1260 0.2500
Cs2 0.6240 0.8740 0.7500
Nb1 0.0000 0.5000 0.5000
Nb2 0.5000 0.5000 0.0000
W1 0.0000 0.0000 0.5000
W2 0.0000 0.5000 0.0000
O1 0.0596 0.4383 0.2425
O2 0.0595 0.8095 0.2500
O3 0.0596 0.8171 0.6213
O4 0.3042 0.1829 0.7425
O5 0.3042 0.5617 0.1213
O6 0.3117 0.5617 0.7500
O7 0.6883 0.4383 0.2500
O8 0.6958 0.4383 0.8787
O9 0.6958 0.8171 0.2575
O10 0.9404 0.1829 0.3787
O11 0.9405 0.1905 0.7500
O12 0.9404 0.5617 0.7575

Output
DFT formation energy   -23.7 eV/f.u.



(4)
This record from the Materials Project describes a geometry-optimized CsNdW2O8 structure. The functional is PBE+U.

a b c (Å): 7.7945 7.7945 7.6308
angles (deg): 116.90 116.90 89.84
Element x y z (fractional)
Cs1 0.1980 0.8020 0.7500
Cs2 0.8020 0.1980 0.2500
Nd1 0.2244 0.7756 0.2500
Nd2 0.7756 0.2244 0.7500
W1 0.3042 0.3160 0.2812
W2 0.3160 0.3042 0.7812
W3 0.6840 0.6958 0.2188
W4 0.6958 0.6840 0.7188
=====

“It is the best shotgun in the game after the sunsetting changes bar none and not having the ability to get it especially hurts since the Mindbenders has been sunset,” Hoodie_ninja1 said, referencing the Mindbender’s Ambition shotgun. That weapon was previously one of the best guns to use in high-level PVP, but has since been sunset.

“I get the whole FOMO aspect that it had back in its season, but those of us who couldn’t play during that season are essentially at a competitive disadvantage to those who are using it,” the user goes on. Hoodie_ninja1 is voicing a common concern for many players that have experienced weapon sunsetting in Beyond Light.

Destiny 2 Felwinter's Lie Shotgun
Although Bungie has added a kiosk to obtain some old weapons, others have yet to be reintroduced.

What are Bungie’s options?

The DCV and weapon sunsetting have both been divisive topics for Destiny 2 players since they were announced. Bungie implemented changes to their seasonal content model to reduce FOMO, but some players feel the problem is still present.

After facing backlash for the small weapon loot pool in Beyond Light, Bungie announced they are expanding the game’s weapon availability by reintroducing some guns from previous expansions and seasons. With powerful weapons like Felwinter’s Lie still unobtainable, players will need to wait and see if Bungie plans to bring back more vaulted weapons during Beyond Light and Season of the Hunt.